Image credit: Photo by Markus Spiske on Unsplash
To understand the Transparency in Learning and Teaching (TILT) framework for assignment design and offer guidelines to implement or tilt existing assignments.
Faculty teach more than the content of their course. Teaching also entails communicating with students about how they learn and why they learn in particular ways, components that may not be clear, or transparent, to all students at first. Transparent learning and teaching methods explicitly focus on how and why students are learning course content in particular ways, and how they’ll use what they learned in their lives after college.
Transparently designed assignments can offer equitable opportunities for all college students to succeed. In two related studies conducted by Mary-Anne Wilkelmes, Tia Brown McNair, and Ashley Finley, faculty at participating institutions were asked to list the challenges or barriers that students faced in their educational experience at college (Winkelmes et al., 2016, Winkelmes et al., 2015). Among them, faculty reported that students faced challenges in four areas: preparation (expectations, lack of research skills, inability to see connection to prior knowledge, etc.), time management (underestimating time required, little planning experience, procrastination, etc.), motivation (feeling overwhelmed, anxiety, low self-confidence, and reluctance to ask for help), and access to resources (not knowing how to get help, not having enough time outside of class to seek help). Students who took courses with at least two transparently designed assignments in their first year showed increased academic confidence and sense of belonging in college, and metacognitive awareness of skill development compared to their peers in courses without transparently designed assignments. Additionally, the students were more likely to re-enroll for their sophomore and junior years, increasing persistence in college.
The simple and small adjustment to teaching that transparent design advocates for is captured in the acronym TILT (Winkelmes, 2019). This tilt is an easily adopted change that can have a large impact on student success, especially first-generation, low-income, and racially underrepresented students. Because students walk into classes with varying degrees of preparation, the key to being more transparent is to learn to see your classroom from each student’s vantage point (Yong, 2017). What challenges might a student face that are not related to the objective of the assignment and where can they go for help in this case? Adopting the TILT framework in course assignments is one way to complement college-wide efforts at inclusion and student success with simple and effective modifications to existing assignments.
Transparently designed assignments state the purpose of the activity in terms of knowledge and skills, list the tasks or steps students will have to undertake to complete the assignment, and explain the criteria for successful completion. The following questions are adapted from the “Transparent Equitable Learning Readiness Assessment for Teachers” (Wilkelmes, 2020) and the “Transparent Assignment Template” (Wilkelmes, 2013).
Refers to the long-term relevance to students’ lives in relation to stated learning outcomes.
Refer to the resource on taxonomies to describe the cognitive processes (e.g. recalling, summarizing, critiquing, etc.) outlined in the purpose section.
Refers to what activities the student should do/perform to complete the assignment. Note that for assignments where how to solve a problem or create a solution, performance, or other, is part of the task, adding a statement that explicitly states this purpose can help. For instance, a statement such as “the purpose of this assignment is for you to struggle and feel confused while you invent your own process to solve the question” will let the student know that confusion and perhaps a lack of clarity are actually part of the task and that the instructor made this decision intentionally.
Refers to the characteristics of the finished product. The TILT framework encourages faculty to provide multiple examples of what these characteristics look like in real-world practice to encourage students’ creativity and reduce their incentive to copy any one example too closely.
View examples of less transparently designed assignments and their transformation to more transparently designed assignments for a Sociology class and a Biology class. For other disciplinary examples of assignments which use the TILT framework visit TILT Higher Ed Examples and Resources.
Faculty members interested in receiving feedback on their assignments can contact CITLS to schedule a feedback session with our student fellows trained in the TILT framework.
Faculty members who wish to introduce a transparently designed assignment into their courses should discuss the particular purpose (skills and knowledge), specific tasks (steps), and criteria (metric for success) for the assignment with students before they begin to do any work. Discussing the assignment in advance will provide an opportunity to address any questions that might arise and will maximize the time students spend engaging in the task. It will also serve to streamline the assessment portion of the assignment. Faculty members can also contact CITLS to receive feedback on assignments from our student fellows trained in the TILT framework.
Wilkemes, M.A. 2020. Transparent Equitable Learning Readiness Assessment for Teachers. TILT Higher Ed.
—. 2013. Transparent Assignment Template. TILT Higher Ed.
Winkelmes, M.A., Bernacki, M., Butler, J., Zochowski, M., Golanics, J., Harris Weavil, K. 2016. A Teaching Intervention that Increases Underserved College Students’ Success. Peer Review 18 (1).
Winkelmes. M.A., Copeland, D.E., Jorgensen, E., Sloat, A., Smedley, A., Pizor, P., … Jalene, S. 2015. Benefits (some unexpected) of transparently designed assignments. The National Teaching and Learning Forum, 24 (4), 4-7.
+++
This record from the Materials Project database describes Ba6Ti5PtO18 after structural relaxation. The functional is GGA-PBE.

## Properties
Formation energy (eV per atom): -3.23
Crystal system: trigonal
Symmetry: P3m1, No. 156
E_tot (eV per cell): -230.80

abc: 5.7913 5.7913 14.2470
angles: 90.00 90.00 120.00
Last column: nearest neighbours and their distance in Å.
Fractional coordinates of all 30 atoms:
1 Ba 0.0000 0.0000 0.0000  12 O 2.90-2.95
2 Ba 0.0000 0.0000 0.3076  12 O 2.80-3.06
3 Ba 0.3333 0.6667 0.1536  12 O 2.86-2.98
4 Ba 0.3333 0.6667 0.6536  12 O 2.90-3.01
5 Ba 0.6667 0.3333 0.4967  12 O 2.90-2.94
6 Ba 0.6667 0.3333 0.8092  12 O 2.84-3.08
7 Ti 0.0000 0.0000 0.5515  3 O 1.89
8 Ti 0.3333 0.6667 0.3978  6 O 1.92-2.11
9 Ti 0.3333 0.6667 0.9007  6 O 1.90-2.11
10 Ti 0.6667 0.3333 0.0541  3 O 1.89
11 Ti 0.6667 0.3333 0.2441  6 O 1.92-2.08
12 Pt 0.0000 0.0000 0.7484  6 O 2.01-2.09
13 O 0.0058 0.5029 0.3282  2 Ti 1.92-2.08
14 O 0.1659 0.3319 0.4879  2 Ti 1.89-2.11
15 O 0.1659 0.8341 0.4879  2 Ti 1.89-2.11
16 O 0.1711 0.3422 0.8316  1 Ti 1.90, 1 Pt 2.09
17 O 0.1711 0.8289 0.8316  1 Ti 1.90, 1 Pt 2.09
18 O 0.3025 0.1512 0.6563  1 Pt 2.01, 1 Ti 2.13
19 O 0.3682 0.1841 0.1600  2 Ti 1.92-2.12
20 O 0.4971 0.5029 0.3282  2 Ti 1.92-2.08
21 O 0.4971 0.9942 0.3282  2 Ti 1.92-2.08
22 O 0.5005 0.0011 0.9910  2 Ti 1.89-2.11
23 O 0.5005 0.4995 0.9910  2 Ti 1.89-2.11
24 O 0.6578 0.8289 0.8316  1 Ti 1.90, 1 Pt 2.09
25 O 0.6681 0.8341 0.4879  2 Ti 1.89-2.11
26 O 0.8159 0.1841 0.1600  2 Ti 1.92-2.12
27 O 0.8159 0.6318 0.1600  2 Ti 1.92-2.12
28 O 0.8488 0.1512 0.6563  1 Pt 2.01, 1 Ti 2.13
29 O 0.8488 0.6975 0.6563  1 Pt 2.01, 1 Ti 2.13
30 O 0.9989 0.4995 0.9910  2 Ti 1.89-2.11

~~~~~

(1)
A relaxed SbPb3 crystal, computed with PBE.

Structure (POSCAR):
```
SbPb3
1.0
1.9074 2.2162 1.8517
-2.6535 -1.6563 1.4812
7.1948 -8.7686 3.0837
Sb Pb
1 3
Direct
0.3333 0.6667 0.5000 Sb
0.3333 0.6667 0.0000 Pb
0.0000 0.0000 0.7459 Pb
0.0000 0.0000 0.2541 Pb
```

Values from the calculation:
The formation energy is 0.0963 eV per atom. As for the magnetization: 0.00 Bohr magnetons per cell.

---

(2)
A relaxed ZnRhO3 crystal, computed with PBE.

Structure (POSCAR):
```
ZnRhO3
1.0
-3.4491 -1.3038 -1.2435
-1.1575 -0.4546 3.6872
-1.3807 3.6381 0.0151
Zn Rh O
1 1 3
Direct
0.0000 0.0000 0.0000 Zn
0.5000 0.5000 0.5000 Rh
0.5000 0.5000 0.0000 O
0.5000 0.0000 0.5000 O
0.0000 0.5000 0.5000 O
```

Values from the calculation:
The formation energy is -0.6853 eV per atom. As for the magnetization: 1.23 Bohr magnetons per cell.

---

(3)
A relaxed La2Al7Cu crystal, computed with PBE.

Structure (POSCAR):
```
La2Al7Cu
1.0
4.3271 0.0000 0.0000
0.0000 4.3271 0.0000
0.0000 0.0000 10.9888
La Al Cu
2 7 1
Direct
0.0000 0.0000 0.9989 La
0.5000 0.5000 0.4980 La
0.0000 0.5000 0.2395 Al
0.5000 0.0000 0.7536 Al
0.5000 0.0000 0.2395 Al
0.0000 0.5000 0.7536 Al
0.0000 0.0000 0.6150 Al
0.0000 0.0000 0.3823 Al
0.5000 0.5000 0.8988 Al
0.5000 0.5000 0.1208 Cu
```

Values from the calculation:
+++
Yong, D. 2017. How Transparency Improves Learning. Teaching Tidbits (Mathematical Association of America blog).